Download - FPA of Florida Monthly Newsletter - January 2020 · FPA of Florida Monthly Newsletter - January 2020 The FPA Primary Aim: To elevate the profession that transforms lives through the


FPA of Florida Monthly Newsletter - January 2020

The FPA Primary Aim:To elevate the profession that transforms lives through the power of financial planning

The Financial Planning Association of Florida is a state councilof the Financial Planning Association.

This newsletter provides our 1,100+ members with informationabout events across the state,

member benefits available to you, and chapter news.

January Happenings


The FPA of Florida officewill be closed Monday,January 20, 2020 inobservance of the MartinLuther King, Jr. holiday.

Martin Seay, Ph.D., CFP®

(pictured right), assumes role as FPA's 2020President.

Inside ETFs conference - January 26-29. Seearticle below for additional details.

FPA Member Benefits & News

The January 2020 issue of the Journal ofFinancial Planning is available now (log-inrequired). This month's focus: collegefunding, with a featured article on how toexpand your expertise to student loanplanning by Ryan S. Galiotto, CFP®.

Then on Wednesday, January 29, 2 pmEastern join us for a Journal in the Roundwebinar (free to FPA members).

Upcoming FPA webinars

Benefits of FPA membership

Pictured above: FPA of Florida outgoingpresident Tiffany Beard, CFP® is presentedwith a token of appreciation for her serviceto the state council by Tobias Henriksson,CFP®, CIMA® at the Board's StrategicPlanning Meeting December 10.

FPA Member Discount Guide

Legislative Corner:Working for You

Make plans to join theFPA of Florida inTallahassee for ourSpring Advocacy trip.

Join us for our 27th visit to the statecapitol to speak with our staterepresentatives and senators, as we buildgreater awareness of FPA and theprofession of financial planning overallwith our Florida state legislators.

Schedule of Events:

Monday, February 3, 2020: plan to arrive inTallahassee by 5 pm. We will gathertogether for dinner that evening to discussstrategy and our agenda for the next twodays.

Tuesday, February 4, 2020: Full day ofmeetings with legislators. We usuallybegin at 8:00 am and typically end our dayby 4:00 pm. We plan to meet withlegislators who are involved in issuessurrounding Education; Banking andInsurance; and Government Oversight andAccountability.

Wednesday, February 5, 2020: ourmeetings with legislators continue. Weanticipate starting at 8 am and willconclude by 1 pm for travels home.

Click here for additional information andto register for the FPA of Florida Spring2020 Advocacy Day. Registration closesWednesday, January 29, 2020.

** FPA and some local chapters havefunds available to FPA of Florida membersto offset your travel expenses. Contact JoeGrimes for more information. **

NEW professional developmentopportunities from FPA:

Raise the bar in college funding adviceand help end the student debt crisis onefamily at a time. Earn up to 11 CFP® CEcredits.

Help clients navigate the Medicare mazein this 10-part, self-study course. Earn upto 15 CFP® CE credits.

Inside ETFs 2020Date: January 26-29, 2020

Location: Diplomat Beach Resort,Hollywood, Florida


On December 17, 2019 FPA of theSuncoast members and guests gottogether for their holiday outreach event:Bridge a Life Stew Crew. This groupprepares meals for area foster andadoptive families in time of need.

Pictured above: Christine Brown, chapterexecutive for FPA of the Suncoast (left)helps prepare pot pies with Kimberly L.Chavers, Esq., president of the FPA of theSuncoast (right) while Kim's mom (center)helps too!

Pictured below: Alexandra Armstrong, CFP®and Erin Wells prepare cookies for themeal packages.


FPA offers members many opportunities tovolunteer - visit the FPA VolunteerEngagement Center for more details onhow you can volunteer for projects that fityour interests, expertise and schedule.(Log-in to FPA website required to showopportunities.)

The MoneyShow is returning to Orlandoand FPA of Florida members can attendfor Free!

There is a fantastic roster of renownedexperts to help you steer your clients to the

Exclusive 30% Discount for FPA of Floridamembers!

Use VIP code: FKF2325FPANL whenregistering. The ETF market is evolving. So is InsideETFs. Take part in a spectrum of learningand networking opportunities you won’tfind anywhere else. Join over 2,300financial advisors, institutional investors,asset managers, hedge funds andacademics at the world’s leading ETFsevent. Participate in top-level conversationwith 200+ expert speakers and receivefour full days of inspirational content tohelp understand and utilise the latesttrends in the ETF market. Visit the event website to view theagenda, full speaker line-up and registeryour place online. Alternatively, [email protected] or call (888) 670-8200.

Connect With Your PeersJoin the conversation on FPAConnect. (log-in required)

New to the Profession?

Welcome! Check out FPA'sinformation especiallytailored to you.

best investment opportunities in 2020 andbeyond. With a presidential election aheadof us and volatility an everyday occurrence,clients will be looking to you to grow andprotect their portfolios in a challengingenvironment and plan a rock-solidretirement strategy. Held at the 2020MoneyShow Orlando, this special track withworld-class investment experts will help youprofitably navigate the markets.

When and Where? Thursday, February 6 from9 am to 12 pm at the Omni Resort Orlando atChampionsGate.

Click here for full details and registrationinformation.

We want to hear from you! Send us yournews and we will feature it in next month's

newsletter. Send news to:[email protected].

According to an article inInvestmentNews, 3 in 10 millennialadvisers say that adding new technology isthe most important thing they will do inthe new year.

Click herefor the newwhitepaperfrom theFPACoachesCorner tolearn whatyou can doto kick-startyourbusiness in2020.

UPCOMING LOCAL CHAPTER EVENTSfor January and February 2020

Find yourself traveling in the state? Use this calendar to find an event at anearby chapter! Chapter events (registration usually required) are open toall FPA of Florida members. Click the links for additional details.

January 15, 2020 (W) - Southwest Florida: 2020 Economic Outlook

January 21, 2020 (T) - Suncoast: Creditor and Trust Planning Strategies with AlanGassman (in conjunction with the SW FL EPC)

January 23, 2020 (Th) - Northeast Florida - Candid Conversations about a Career inFinancial Services

January 24, 2020 (F) - Gulf States: Chapter Meeting

_Here the entry breaks off for materials data_
Below is CuH3PdRh after structural relaxation, with properties calculated at the PBE level.

- Calculated total energy: -4.46 eV per atom
- DOS at the Fermi energy: 2.2 states/eV/f.u.
- Space group: P2_1/m (11)

Cell lengths 4.831, 2.898, 7.394 Å; angles 90.00, 103.04, 90.00 degrees
Fractional positions:
1 Cu 0.131 0.250 0.134
2 Cu 0.869 0.750 0.866
3 H 0.011 0.750 0.619
4 H 0.287 0.750 0.977
5 H 0.432 0.250 0.376
6 H 0.568 0.750 0.624
7 H 0.713 0.250 0.023
8 H 0.989 0.250 0.381
9 Pd 0.355 0.250 0.825
10 Pd 0.645 0.750 0.175
11 Rh 0.233 0.750 0.449
12 Rh 0.767 0.250 0.551

~~~~~

# AlCuHgMo

A geometry-optimized AlCuHgMo structure (PBE-GGA, OQMD).

```
data_AlCuHgMo
_cell_length_a 4.5235
_cell_length_b 4.5235
_cell_length_c 4.5235
_cell_angle_alpha 60.00
_cell_angle_beta 60.00
_cell_angle_gamma 60.00
_symmetry_space_group_name_H-M 'P 1'
_symmetry_Int_Tables_number 1
loop_
_symmetry_equiv_pos_as_xyz
'x,y,z'
loop_
_atom_site_label
_atom_site_fract_x
_atom_site_fract_y
_atom_site_fract_z
Al1 0.0000 0.0000 0.0000
Cu1 0.7500 0.7500 0.7500
Mo1 0.2500 0.2500 0.2500
Hg1 0.5000 0.5000 0.5000
```

Output
**Total magnetization**: 1.462 μB per cell
**SG**: F-43m
**VASP energy**: -4.2389 eV per atom

---

# AlCuHgMo

A geometry-optimized AlCuHgMo structure (PBE-GGA, OQMD).

```
data_AlCuHgMo
_cell_length_a 4.5362
_cell_length_b 4.5362
_cell_length_c 4.5362
_cell_angle_alpha 60.00
_cell_angle_beta 60.00
_cell_angle_gamma 60.00
_symmetry_space_group_name_H-M 'P 1'
_symmetry_Int_Tables_number 1
loop_
_symmetry_equiv_pos_as_xyz
'x,y,z'
loop_
_atom_site_label
_atom_site_fract_x
_atom_site_fract_y
_atom_site_fract_z
Cu1 0.7500 0.7500 0.7500
Al1 0.0000 0.0000 0.0000
Hg1 0.2500 0.2500 0.2500
Mo1 0.5000 0.5000 0.5000
```

Output
**Total magnetization**: 2.016 μB per cell
**SG**: F-43m
**VASP energy**: -4.1424 eV per atom

---

# AlCuHgOs

A geometry-optimized AlCuHgOs structure (PBE-GGA, OQMD).

```
data_AlCuHgOs
_cell_length_a 4.4424
_cell_length_b 4.4424
_cell_length_c 4.4424
_cell_angle_alpha 60.00
_cell_angle_beta 60.00
_cell_angle_gamma 60.00
_symmetry_space_group_name_H-M 'P 1'
_symmetry_Int_Tables_number 1
loop_
_symmetry_equiv_pos_as_xyz
'x,y,z'
loop_
_atom_site_label
_atom_site_fract_x
_atom_site_fract_y
_atom_site_fract_z
Hg1 0.5000 0.5000 0.5000
Cu1 0.7500 0.7500 0.7500
Al1 0.0000 0.0000 0.0000
Os1 0.2500 0.2500 0.2500
```

Output
**Total magnetization**: 0.002 μB per cell
**SG**: F-43m
**VASP energy**: -4.4154 eV per atom

---

# AlCuHgPd

A geometry-optimized AlCuHgPd structure (PBE-GGA, OQMD).

```
data_AlCuHgPd
_cell_length_a 4.4737
_cell_length_b 4.4737
_cell_length_c 4.4737
_cell_angle_alpha 60.00
_cell_angle_beta 60.00
_cell_angle_gamma 60.00
_symmetry_space_group_name_H-M 'P 1'
_symmetry_Int_Tables_number 1
loop_
_symmetry_equiv_pos_as_xyz
'x,y,z'
loop_
_atom_site_label
_atom_site_fract_x
_atom_site_fract_y
_atom_site_fract_z
Al1 0.0000 0.0000 0.0000
Pd1 0.2500 0.2500 0.2500
Cu1 0.7500 0.7500 0.7500
Hg1 0.5000 0.5000 0.5000
```

Output

January 27-28, 2020 (M-T) - Central Florida: 30th Annual Symposium

January 29, 2020 (W) - Miami: Fundamentals of Private Equity and PrivateDebt/Chapter Dinner

February 6, 2020 (Th) - Central Florida: The Advisors MoneyShow

February 7, 2020 (F) - South Florida: February Educational Lunch

February 11, 2020 (T) - Miami: 8th Annual Estate Planning Symposium (in conjunctionwith the EPC of Greater Miami)

February 19, 2020 (W) - Miami: Federal Reserve Economic Update/Chapter Dinner

As we enter the new year, chapters are finalizing their 2020 programming. Updates areposted on the FPA of Florida website, or you can visit any of the chapter websites listedbelow.

Connect to our Florida chapters

There are eight (8) chapters in the state council. Click on the links below to learn moreabout each chapter:

Central FloridaGulf States (serving FL/AL/MS)MiamiNortheast FloridaSouth FloridaSouthwest FloridaSuncoastTampa Bay

In and Around the State

The number of Latino-owned businesses in Florida is increasing. FamilyFoundations: Building a Strong Financial Future is a comprehensive onlinefinancial literacy and education initiative to provide Hispanic Floridians and theirfamilies with important personal financial information. Studies show that the most importantfinancial priorities for Hispanic families are saving for retirement, reducing debt and building savings.

Available in both English and Spanish, the virtual city will help your clients learn about key conceptsin banking, credit and savings.

This newsletter is sponsoredin part by Charles Schwab,an FPA of FloridaPremier Partner.


Schwab Advisor Services serves independent investment advisors and includes the custody, trading, andsupport services of Schwab.

Financial Planning Association of Florida

To elevate the profession that transforms lives through the power of financial planning